Sunday, August 17, 2014

A year of hell

"So this is it. I say goodbye to this chapter of my ever-changing life. And there's mistakes. The path is long. And I'm sure I'll answer for them when I'm gone...The road to hell along the way is paved with good intentions so they say. And some believe that no good deed goes unpunished in the end or so it seems..." Staind, Something To Remind You   Full lyrics here

It's hard to believe that it's been a year since I left Kenya. Actually, the 26th will be one full year. I remember that morning as I was crammed in the back seat of a shuttle on my way from Kitale to Nairobi. I left so early that it was still dark outside. I caught the very first shuttle out of Kitale. The only seat open was in the middle in the back row. If you know anything about a Kenyan shuttle, you know that a 6 foot 3 inch man does not fit very well in the back seat. I was in for a very long 8+ hour ride. I put my iPod on, buried the zipper of my bag into my lap, put my sunglasses on (yes, in the dark) and closed my eyes as I fought back the tears. Then, the above song by Staind came on my iPod. Okay, don't judge me, yes, Staind is my guilty pleasure band. As a child I loved their hard rock. As I've gotten older I've come to appreciate their more lyrical songs like this one a bit more. I found myself listening to this song a few times over. I had no idea just how fitting a song it was and would come to be over the net 12 months. 

-- begin --
A geometry-optimized NaAu structure, computed with PBE.

Geometry as CIF:
```
data_NaAu
_chemical_formula_sum 'Na8 Au8'
_space_group_name_H-M_alt 'P b c m'
_space_group_IT_number 57
_cell_length_a 5.769
_cell_length_b 11.288
_cell_length_c 5.492
_cell_angle_alpha 90.00
_cell_angle_beta 90.00
_cell_angle_gamma 90.00
loop_
_space_group_symop_operation_xyz
'x,y,z'
'-x,-y,-z'
'-x,-y,z+1/2'
'x,y,-z+1/2'
'x,-y+1/2,-z'
'-x,y+1/2,z'
'-x,y+1/2,-z+1/2'
'x,-y+1/2,z+1/2'
loop_
_atom_site_label
_atom_site_type_symbol
_atom_site_fract_x
_atom_site_fract_y
_atom_site_fract_z
Na1 Na 0.087 0.175 0.250
Na2 Na 0.348 0.011 0.750
Au1 Au 0.145 0.583 0.750
Au2 Au 0.440 0.750 0.000
```

Properties
Formation energy from the elements   -0.3142 eV/atom
Calculated total energy   -41.80 eV/cell

A geometry-optimized TlCoTe2 structure, computed with PBE.

Geometry as CIF:
```
data_TlCoTe2
_chemical_formula_sum 'Tl2 Co2 Te4'
_space_group_name_H-M_alt 'C m m m'
_space_group_IT_number 65
_space_group_name_Hall '-C 2 2'
_cell_length_a 6.010
_cell_length_b 8.337
_cell_length_c 4.241
_cell_angle_alpha 90.00
_cell_angle_beta 90.00
_cell_angle_gamma 90.00
loop_
_atom_site_label
_atom_site_type_symbol
_atom_site_fract_x
_atom_site_fract_y
_atom_site_fract_z
Tl1 Tl 0.000 0.000 0.000
Co1 Co 0.000 0.500 0.000
Te1 Te 0.250 0.250 0.500
```

Properties
E_form (uncorrected)   0.54 eV/atom
Calculated total energy   -27.21 eV/cell

A geometry-optimized YFe2Si structure, computed with PBE.

Geometry as CIF:
```
data_YFe2Si
_chemical_formula_sum 'Y2 Fe4 Si2'
_space_group_name_H-M_alt 'I m m 2'
_space_group_IT_number 44
_cell_length_a 3.170
_cell_length_b 4.509
_cell_length_c 8.826
_cell_angle_alpha 90.00
_cell_angle_beta 90.00
_cell_angle_gamma 90.00
loop_
_space_group_symop_operation_xyz
'x,y,z'
'-x,-y,z'
'-x,y,z'
'x,-y,z'
'x+1/2,y+1/2,z+1/2'
'-x+1/2,-y+1/2,z+1/2'
'-x+1/2,y+1/2,z+1/2'
'x+1/2,-y+1/2,z+1/2'
loop_
_atom_site_label
_atom_site_type_symbol
_atom_site_fract_x
_atom_site_fract_y
_atom_site_fract_z
Y1 Y 0.000 0.000 0.000
Fe1 Fe 0.000 0.000 0.502
Fe2 Fe 0.000 0.500 0.780
Si1 Si 0.000 0.500 0.216
```

Properties
E_form (uncorrected)   0.02 eV/atom
Calculated total energy   -57.50 eV/cell

A geometry-optimized AlTePIr2 structure, computed with PBE.

Geometry as CIF:
```
data_AlTePIr2
_chemical_formula_sum 'Al1 Te1 P1 Ir2'
_space_group_name_H-M_alt 'P 4/m m m'
_space_group_IT_number 123
_space_group_name_Hall '-P 4 2'
_cell_length_a 4.896
_cell_length_b 4.896
_cell_length_c 5.048
_cell_angle_alpha 90.00
_cell_angle_beta 90.00
_cell_angle_gamma 90.00
loop_
_atom_site_label
_atom_site_type_symbol
_atom_site_fract_x
_atom_site_fract_y
_atom_site_fract_z
Al1 Al 0.000 0.000 0.000
Te1 Te 0.000 0.000 0.500
P1 P 0.500 0.500 0.000
Ir1 Ir 0.000 0.500 0.500
```

Properties
E_form (uncorrected)   1.72 eV/atom
Calculated total energy   -21.40 eV/cell

A geometry-optimized PmTmAlHg structure, computed with PBE.

Geometry as CIF:
```
data_PmTmAlHg
_chemical_formula_sum 'Pm1 Tm1 Al1 Hg1'
-- stop --

About a week before that morning I was sitting at Kenya's Immigration office in Eldoret. I thought nothing of it that morning. I even took my motorcycle on the 2 hour drive to get there. What a blast that was! And somewhat frightening on some of the roads too! And, yes, to those wondering, I wore a helmet. Then the day took a rough turn. I had renewed my visa before with no issues over the years. I've always been in and out in just a few minutes. This time was different. I had my passport confiscated. I was threatened to be arrested. By the end of day two it was more than evident that the choice was simple: Pay a bribe, leave the country (still had to get my passport back though) or go to jail. Very long story short is that the Member of Parliament that sits over immigration in Kenya "did me favor" and gave me 48 hours to be out of the country. Well, due to the airport catching fire just a few weeks before this, I ended up with a week. A week that I hid at a local guest house with very few people knowing where I was. 

That morning of August 26th started a very long year of hell. Some friends very generously opened up their home to me. And they went a step further and drove to JFK to pick me up when I landed. I had the worst jet lag I've ever had, though in all fairness, I think that it was more a combination of some jet lag and a lot of emotional stress. I spent the first two weeks hiding (see the theme?). I didn't tell many people I where I was living. In a very real way, I shut down emotionally. I didn't want to see anyone. I didn't have the energy to really tell the story. And I couldn't stand the thought of people seeing how hurt I really was. I hated the thought of people seeing me as weak. 

That's when I ended up seeing a counselor at Serving Leaders Ministries (check them out). I began working through what happened. I began to allow myself to be vulnerable again. I very truly believe that this was a turning point in the journey. A HUGE thank you to Dave Wiedis at Serving Leaders! Without you, the journey would have come to an abrupt stop right there. With your help, I was able to move on.  

Someone pasted records of crystals at this point =
********
# 1
Computed, not measured: a relaxed structure of YAsSe2S at the PBE level of DFT.

The calculation puts the energy above the most stable polymorph in this dataset at 0.00 kJ per mole of atoms. The value obtained for the theoretical density is 5.2 Mg/m³.

It has space group P4/mmm (No. 123), with a = 4.8462 Å, b = 4.8462 Å, c = 4.8471 Å, α = 90.00°, β = 90.00° and γ = 90.00°. The inequivalent atoms are Y at (0.0000, 0.0000, 0.0000), As at (0.5000, 0.5000, 0.0000), Se at (0.0000, 0.5000, 0.5000) and S at (0.5000, 0.5000, 0.5000).


# 2
Computed, not measured: a relaxed structure of Y6AsSe2S at the PBE level of DFT.

The uncorrected energy is -6.34 eV per atom. The value obtained for the theoretical density is 3.9 Mg/m³.

It has space group P4mm (No. 99), with a = 7.9025 Å, b = 7.9025 Å, c = 5.3856 Å, α = 90.00°, β = 90.00° and γ = 90.00°. The inequivalent atoms are Y at (0.0000, 0.0000, 0.0000), Y at (0.2456, 0.2456, 0.5015), Y at (0.5000, 0.5000, 0.9821), As at (0.5000, 0.5000, 0.4805), Se at (0.0000, 0.5000, 0.5430) and S at (0.0000, 0.0000, 0.4996).


# 3
Computed, not measured: a relaxed structure of Y8AsSe3S4 at the PBE level of DFT.

The uncorrected energy is -7.08 eV per atom. The value obtained for the theoretical density is 5.2 Mg/m³.

It has space group R-3m (No. 166, hexagonal axes), with a = 8.0030 Å, b = 8.0030 Å, c = 19.7653 Å, α = 90.00°, β = 90.00° and γ = 120.00°. The inequivalent atoms are Y at (0.0000, 0.0000, 0.2409), Y at (0.0093, 0.5046, 0.7563), As at (0.0000, 0.0000, 0.0000), Se at (0.0000, 0.5000, 0.0000), S at (0.0000, 0.0000, 0.5000) and S at (0.0000, 0.5000, 0.5000).


# 4
Computed, not measured: a relaxed structure of ZnAs2SeS at the PBE level of DFT.

The calculation puts the energy above the most stable polymorph in this dataset at 0.00 kJ per mole of atoms. The value obtained for the theoretical density is 4.8 Mg/m³.

It has space group P4/mmm (No. 123), with a = 4.8409 Å, b = 4.8409 Å, c = 4.8608 Å, α = 90.00°, β = 90.00° and γ = 90.00°. The inequivalent atoms are Zn at (0.0000, 0.0000, 0.0000), As at (0.0000, 0.5000, 0.5000), Se at (0.5000, 0.5000, 0.0000) and S at (0.5000, 0.5000, 0.5000).


# 5
Computed, not measured: a relaxed structure of ZnAs2SeS at the PBE level of DFT.

The calculation puts the energy above the most stable polymorph in this dataset at 14.61 kJ per mole of atoms. The value obtained for the theoretical density is 4.8 Mg/m³.

It has space group P4/mmm (No. 123), with a = 4.9091 Å, b = 4.9091 Å, c = 4.6957 Å, α = 90.00°, β = 90.00° and γ = 90.00°. The inequivalent atoms are Zn at (0.0000, 0.0000, 0.0000), As at (0.0000, 0.5000, 0.0000), Se at (0.0000, 0.0000, 0.5000) and S at (0.5000, 0.5000, 0.5000).


# 6
Computed, not measured: a relaxed structure of ZrAsSe2S at the PBE level of DFT.

The calculation puts the energy above the most stable polymorph in this dataset at 0.00 kJ per mole of atoms. The value obtained for the theoretical density is 4.2 Mg/m³.
********

I wish I could say that everything was easy after that. But it wasn't. As the months dragged on I finally came to the very difficult decision to stop trying to get back into Kenya; it became clear that I am on a permanent "no entry" list. In early January I made that decision known to the home I worked at in Kenya. I initially gave myself a year before I would look into other countries to serve. I took a job at TheFireStore.  I worked in the warehouse for a while. It was a challenge. I went from, first, a job that I worked in for just shy of 10 years, to a life of ministry in Kenya. All of a sudden, I was in a warehouse wondering what my purpose was anymore. Wasn't I supposed to do something greater? Is this what I had become after all that I gave up?

Eventually I decided that moving overseas was something I would no longer pursue. To be completely honest, I even questioned what the point was in the first place. It all ended so violently as many relationships I built over a few years had collapsed or otherwise drastically changed. I sat back one day and realized that since my first trip to Kenya in 2009 I made moving there a number 1 priority in my life. I watched so many of my friends and family get married, have kids, buy houses, etc. And I gave that up in order to pursue Kenya. Part of me (being honest here) really wondered what the point ever was. I questioned God when my turn for those things would be; when would I experience those same joys. I painfully wrestled with so many questions as I wondered just who I was anymore. For a while I took on the identity of "the missionary". But I'm not anymore. So "who am I?" became a very real question I struggled to answer almost every single day. 

As the year carried on I continued to be vulnerable with a few trusted individuals and I allowed them really see my hurt in a way that I had forgotten how to do. Some took advantage of that while others, the ones who really have my extreme gratitude, truly supported me, even when I was miserable and not much fun to be around. I cannot thank those people enough for helping me grow through this year. Thank you for encouraging me. Thank you for allowing me to be in the place I was but loving me enough to not allow me to stay there. Thank you for lovingly calling me out in some issues that I needed to address. 

I began to relearn a lesson about who I really am. My identity is so much more than the work that I choose. And my fulfillment cannot come from my work. It comes from the identity written out through the book of Ephesians: as a child of the living God. I accepted that being in Kenya while I was there WAS the right decision. The experiences that I had will be with me for the rest of my life. Another part of this song says, "look in my face, all the stories it will tell I can't erase...". So very true Mr. Aaron Lewis, so very true. I have countless stories I can tell. Stories that will bring you to tears, both of happiness and of sadness. Stories of extreme highs and stories of extreme lows. But all of the stories have a common theme: hope. Stories I still long to tell, and if you ask, I'll gladly share until you tell me to stop.  

As this year rounds out, things are looking good. In June I accepted a job in our purchasing department. It was a very entry level job. I knew that going into the job and I accepted it knowing that it was a chance to possibly move up. And on August 7th, the day before I turned 30, I was offered a new position in government sales. A position that I eagerly start on the 25th. 

I've lost quite a few friends this past year, but I have also seen who some of my truest friends are. And I've built some new relationships. Ones that I am excited about. 

So, yes, I say goodbye to this chapter. But at the same time as I say goodbye to the chapter of life in Kenya, I also say hello. I say hello to a new chapter of my ever-changing life. One that I am so eager to read. 

Another lyric that sums up some of this year comes from the chorus of a new OAR song:
"Hey, don't say goodbye, just say goodnight
And we'll pick up where we left off.
We'll say hello and welcome home
And we'll pick up where we left off"
OAR, We'll Pick Up Where We Left Off

THANK YOU to all that have welcomed me home. We'll pick up where we left off.  

"Let the redeemed of the LORD say so, whom he has redeemed from trouble." Psalm 107:2. This entire past year has been redeemed in a mighty way. This is merely a glimpse at what it has looked like. Thank you for allowing me to share it with you.   

"I wanna be like you"

 Been a few years since I used this site but this has been on my mind for a bit and I need to get it out.  "...Well then my four year o...